This research paper would investigate the impact of foreign aid on developing countries looking at their local economic infrastructure. (Henrik & Finn T, 2000). It identifies foreign aid as a key tool in the development of many countries. This paper uses mainly library research. References were made to Nepal, Kenya and Uganda. This paper also inspects the connection between aid distribution and governance of recipient countries in determining the relationship between the effect on the local economies and income of the populations. The paper goes further to investigate whether aid allocation is influenced by policies and governance. It shows that while aid can be good in some cases it can make people slaves to other nations. It also gives us an insight as to what should be considered to avoid foreign aid from going to the wrong people. Finally, this paper warns us of the dangers associated with overreliance on foreign aid thus warning nations about the possibility of passing the liability of this aid to future generations.
In the world today, developing countries face numerous problems some of which are poverty, natural disasters, financial crises amongst others and this is where foreign aid steps in to help these developing countries come out or stabilize their situation. Foreign aid is the financial flows, technical assistance and commodities given by the residents of one country to the residence of another either as grants or as subsidized loans. When a country receives aid, it is because of a specific, condition and thus requires assistance to move or continue. The issue of foreign aid is not a simple as it may sound this issue has been under controversy as to whether or not it is being used in the most efficient way by those who receive it and if not is that the reason why these countries cannot attain economic growth. These countries receive foreign aid from the IMF, World Bank or by the United Nations. Together these institutions have spent trillions of dollars on loans to improvished nations all over the world (Easterly, W, 2006).
The reasons why these places are not better off since so much money is being allocated towards them is questionable. Most developing countries have abundant resources but still have constraints in development. This paper will investigate the impact of foreign aid on developing countries and the impact of foreign aid towards growth of these developing countries by looking at their local economic infrastructure. (Svensson, 1998). This study has been conducted with diverse findings.
Research Hypothesis
Foreign aid has had more of a negative impact than a positive one on the economic emancipation of developing countries.
Research Objectives
To investigate the economic effect of foreign aid based on the income of the locals of developing countries. Most developing nations face challenges in the provision of earnings for their citizens. This can arise from lack of adequate infrastructure and industries to create jobs.
To identify how foreign aid has affected the local economy and the economic activities of developing countries. As much as developing countries have received continued aid, results of the assistance vary from one nation to another. This research paper seeks to find out why the disparity in outcome in the nations. (Bruno & Easterly, 1998)
To study if the foreign aid has had success in the aim it was intended for. When donors give assistance it is usually as a result of an assessment. Once the aid has been disbursed, the recipient nation has the mandate of implementing its projects as specified in the aid application. This research paper seeks to find out if this arrangement has been an accomplishment in the developing countries. (Easterly, 2006.p.401)
Research Methodology
The method used for data collection is based on journals and books on economic growth in general and developing countries specifically will be used. The library research will have the larger share of the data while the local primary records will take a smaller portion. (Michael, 1997.p.312) Comparison of data collected will be used to base the determination for my recommendations and conclusions.
Literature Review
Foreign countries have been helping developing countries since the colonial era and still are today. This assistance could be in monetary terms or trade exchanges. Foreign countries have developed many challenges in doing this and economist Easterly refers to this as the white man’s burden. Efforts made by foreign countries main intention was to help but records show that this isn’t the case they are actually more damages which can be referred to as the twin tragedy. First, there is global poverty in this situation people live miserable lives and die early deaths.eg Africa suffers loss of its people due to inadequate medical assistance to the people. Second, after half a century trillion of dollars was given as aid and there is little evidence to show for it. (Michael, 1997.p.314).
This is as a result of poor governance and policy formulations by the recipient countries. The donors also are to blame as they offer money to corrupt government officials over and over again. It is observed that most developing countries continue to be poorer and poorer despite being given more and more assistance. In this case hardship is localized and should be approached differently in order to gain an advantage to this situation. Africa for example has lost promotion by its own negligence, capitalists countries are against business, deaths are more vicious than ethnicity, and leaders scrounge on the West (Ed.Calderisi, 2007, p.132).
Foreign aid has had diverse effects in developing countries all over the world. In Africa there has been mixed effects for example there is a case in Somalia where non-governmental bodies have unsuspectingly aided an autocrat to grow a fiscal and biased command. Others have offered aid to ethnic splinter groups that caused bloodbath in countries such as Rwanda and Burundi. Dishonest politicians have also united collectively in cruel personal welfare. It is clear that what was first intended to be of benefit, is turning to be a disaster. (Alvi, Mukherjee & Shukralla, 2008)
Studies have been carried out to determine the effectiveness of foreign aid to developing countries. Nepal has been getting support since the beginning of 1950’s sponsoring almost all material infrastructures. This example shows that aid thrives only in a good policy setting. Physical features of the population growth in Nepal made the nation dependant on financial assistance. The country also had aid unsuccessful practice due to bad governance conquered by a select few of warfare backdrop (Badri, 2009)
Foreign aid direction is dictated by political considerations, fiscal needs, and policy show of beneficiaries. Colonial history and opinionated union are important in the decision making of overseas aid provision. Countries that have a democratic system tend to be favored. Express foreign investments are responsive to economic enticements, especially superior policies and guard of possessions rights in the recipient country. The US Agency for International development is a bureau, which gives development aid to developing countries. The US has had an agenda of advancing US policy interests in growing equality and open trade. However, this has been observed by critics as a way of prizing political associates. (5th Ed. Perkins, 2007, p.708) The overall sustainability is dependent on political will which tends to lack in many states. In the education for all policy, there has been fault in its implementation. The government uses the political will to invest in education if it will keep it in power. This is not the reason why the free education for all initiative was started. (Easterly, 2006.p.400)
This has led to poor implementation of the policy in many developing countries. Owing to that there has been an imbalance of trade caused by the foreign aid. Donors pump in substantial amounts of money to get policies implemented but end up short of their objectives. It has made Africa dependent upon aid for growth destroying local novelties hence paucity. In Kenya, the minister of foreign affairs scaled down aid as helpful but with restrictions. He said they want to be friends with all and desire aid from everyone but not help from whichever individual or nation, which will, provide stipulations. (Bruno & Easterly, 1998) This has been observed when Kenya decided to seek assistance from China in the East. The shift was as a result of the aid being given with no strings attached.
Data Analysis
The data can be analyzed based on the literature gathered only. It is evident that the results are poor and the foreign aid has not helped developing countries. This confirms the hypothesis of this research that indeed, foreign aid has had more of a negative than positive impact on the economic development of the developing countries. Owing to the information cited by the research findings, most aid has created divisions and greed among tyrants of developing countries. (Svensson, 1998). Foreign aid that does not allow the locals to use their ingenuity but sustains them is detrimental to a society. Most of the developing countries have resources that can be utilized. There is little or limited will to use these resources, as there is a way out, which is aid. (5th Ed. Perkins, 2007, p.710)
Research Limitations
The research was limited to a narrow scope of data due to time and budgetary constraints. The findings although factual, need to be investigated further with more statistics. Unavailability of electronic articles and access to data in local government institutions also bound the research. Methodology used in data collection was the cheapest but unreliable. (Alesina, 1998) Secondary data tends to give different result from primary data.
Research Recommendations
Further study on the effects of foreign aid to developing countries should be done. Since results of the foreign assistance differ from state to state, a continuous learning needs to be carried out to know the reasons that cause the disparities. The donors of foreign aid exist in blocks and can institute study on why the aid has not met some of the intended purposes.
Policies of the foreign aid should be revised to curb abuse from recipients who are selfish. A stringent procedure can be developed that limits the exploitation of aid at the expense of the masses by putting guidelines on the methods of use. Direct assistance to the area of need and monitoring can help in effective use of the aid. (World Bank, 1998).
Direct aid is more beneficial and should be encouraged as it reaches its intended receiver. Developing infrastructure and or local industries directly benefits the needy recipient. The engineering of roads or dams for example can benefit a local directly and efficiently. (Badri, 2009)
## Someone pasted data records at this point
┌──
Entry 1:
Structure and theoretical X-ray powder pattern of LaP2H2CO6 (a crystal structure in the Materials Project, relaxed with PBE; Cu Kα (λ = 1.5418 Å)).
Lines closer than 0.1° are merged.

Principal peaks in the range 10 to 90 degrees two-theta, sorted by position:
2theta, d (Å), Rel. int.
12.30, 7.197, 100
21.44, 4.144, 75
22.91, 3.882, 60
25.50, 3.492, 43
26.08, 3.416, 26
30.45, 2.936, 67
33.11, 2.706, 23
33.52, 2.673, 25
35.47, 2.531, 18
42.91, 2.108, 19

Structure:
a = 8.371 Å, b = 8.371 Å, c = 5.426 Å
α = 100.49°, β = 100.49°, γ = 118.57°
Fractional positions:
La: 0.228 0.772 0.000
La: 0.772 0.228 0.000
P: 0.145 0.366 0.626
P: 0.366 0.145 0.626
P: 0.634 0.855 0.374
P: 0.855 0.634 0.374
H: 0.102 0.102 0.768
H: 0.318 0.318 0.970
H: 0.682 0.682 0.030
H: 0.898 0.898 0.232
C: 0.230 0.230 0.765
C: 0.770 0.770 0.235
O: 0.023 0.395 0.797
O: 0.031 0.265 0.335
O: 0.265 0.031 0.335
O: 0.316 0.576 0.691
O: 0.395 0.023 0.797
O: 0.424 0.684 0.309
O: 0.576 0.316 0.691
O: 0.605 0.977 0.203
O: 0.684 0.424 0.309
O: 0.735 0.969 0.665
O: 0.969 0.735 0.665
O: 0.977 0.605 0.203



Entry 2:
Structure and theoretical X-ray powder pattern of LaH3CSO7 (a crystal structure in the Materials Project, relaxed with PBE; Cu Kα (λ = 1.5418 Å)).
Lines closer than 0.1° are merged.

Principal peaks in the range 10 to 90 degrees two-theta, sorted by position:
2theta, d (Å), Rel. int.
14.49, 6.115, 100
17.65, 5.026, 24
19.36, 4.584, 66
25.56, 3.485, 28
26.15, 3.407, 72
28.07, 3.179, 37
29.06, 3.073, 24
33.74, 2.656, 41
38.86, 2.318, 22
41.39, 2.181, 40

Structure:
a = 7.108 Å, b = 7.108 Å, c = 11.997 Å
α = 90.00°, β = 90.00°, γ = 90.00°
Fractional positions:
La: 0.107 0.640 0.000
La: 0.360 0.107 0.750
La: 0.640 0.893 0.250
La: 0.893 0.360 0.500
H: 0.032 0.164 0.045
H: 0.164 0.968 0.295
H: 0.177 0.408 0.225
H: 0.378 0.462 0.182
H: 0.408 0.823 0.475
H: 0.462 0.622 0.432
H: 0.538 0.378 0.932
H: 0.592 0.177 0.975
H: 0.622 0.538 0.682
H: 0.823 0.592 0.725
H: 0.836 0.032 0.795
H: 0.968 0.836 0.545
C: 0.104 0.154 0.964
C: 0.154 0.896 0.214
C: 0.846 0.104 0.714
C: 0.896 0.846 0.464
S: 0.247 0.613 0.694
S: 0.387 0.247 0.444
S: 0.613 0.753 0.944
S: 0.753 0.387 0.194
O: 0.008 0.146 0.675
O: 0.122 0.542 0.605
O: 0.133 0.663 0.794
O: 0.142 0.305 0.911
O: 0.146 0.992 0.925
O: 0.217 0.346 0.404
O: 0.247 0.444 0.158
O: 0.305 0.858 0.161
O: 0.337 0.133 0.544
O: 0.346 0.783 0.654
O: 0.386 0.462 0.723
O: 0.444 0.753 0.408
O: 0.458 0.122 0.355
O: 0.462 0.614 0.973
O: 0.538 0.386 0.473
O: 0.542 0.878 0.855
O: 0.556 0.247 0.908
O: 0.614 0.538 0.223
O: 0.654 0.217 0.154
O: 0.663 0.867 0.044
O: 0.695 0.142 0.661
O: 0.753 0.556 0.658
O: 0.783 0.654 0.904
O: 0.854 0.008 0.425
O: 0.858 0.695 0.411
O: 0.867 0.337 0.294
O: 0.878 0.458 0.105
O: 0.992 0.854 0.175
└──
Foreign aid should not be encouraged as this will be a burden to the future inheritance of the debt. Generations that inherit the developing countries have to bare the load of arrears accruing from the past age group. This makes them struggle to pay and try to meet the current challenges. This retrogressive venture should not be encouraged. (World Bank, 1998).
Information on the effect of the foreign aid to developing countries should be shared more frequently to assist countries that are stuck in the cycle. Developing countries that receive foreign assistance should extend avenues in which they exchange information on use of the aid. This will help members to get out of the dependency on foreign assistance and build up a strong revenue base for growth. (Badri, 2009)
Assistance has always been good in the society in other areas but I think that the negatives that I have encountered in my research have outweighed the benefits. For example in East Africa there has been an increased assistance in the control of malaria by foreign medical assistance. This noble cause is welcomed but it is not self sustaining due to the poverty surrounding the people. Most diseases suffered by the people in the developing nations are as a result of poor sanitation and habitation. Overcrowding and pitiable living conditions has caused people to develop ailments that could be prevented. Dependency on assistance can be detrimental to the social order because it can cause lack of ingenuity in the development for these developing countries. It takes great leadership for a country to develop its local industries. Countries like India which were developing countries in the early 19th century have become economic giants due to focus on local industrial growth. Societies that rely on help always put their sovereignty at risk as the giver can change to be an oppressor. Although the world needs to depend on one another for development, the trade balance should be checked so as to shield coming generations from inheriting liability. (Easterly, 2006.p.401)
Foreign aid to developing countries has not all been a bad omen all through. Some states have developed due to this assistance growing to give the individuals economic stability. Africa and other developing countries have grappled with infrastructure development and without aid most countries will not make their own. Engineering roads, dams, and other large projects require large sums of money to expand. Most developing countries find realizing the money challenging and resort to aid from foreign donors. This is noble and should be encouraged as without reliable infrastructure it would be cumbersome to do business. Exchange of ideas and exports have also enhanced development and should be encouraged (Alesina, 1998).
With the growth of the world to the information age, developing countries should use the internet to expose their products to the world. It requires fewer resources and is much effective to seek business online. Expansion of local industry and development of human skill can spur the growth of a country. Numerous cases of emerging economies can be sighted in Africa. Angola is believed to be one of the fastest growing economies due to its sound governance. More examples exist in other developing countries and should be encouraged as in India and Rwanda recently. These countries have recorded a steady growth in annual profits to their citizens. This can be attributed to the local growth and development of industries and trade. Good governance has also fueled the increase in the countries. (Easterly, 2006.p.401)
List of reference
Alesina, A. (1998).Who Gives Foreign Aid to whom and Why? Journal of Economic Growth, 5: 33–63.10512:0:.8.
Alvi, E; Mukherjee, D.’ Shukralla, E.K. (2008). Aid, Policies, and Growth in Developing Countries. A New Look at the Empirics. Southern Economic Journal, 74(3): 693-706.
Badri, Prasad, Bhattarai (2009). Foreign Aid and Growth in Nepal. An Empirical Analysis. The Journal of Developing Areas. ABI/INFORM Global database. 42(2), 283-302.
Bruno, M & Easterly, W. (1998). “Inflation crises and long-run growth,” Journal of Monetary Economics, Elsevier. 41(1). 3-26.
Calderisi, R. (Ed). (2007).The Trouble with Africa. Why Foreign Aid Isn’t Working, St Martins, 190-249.
Easterly, R.W. (Ed). (2006).The white mans burden, Penguin press, 400-436.
Michael, M. (1997).The Road to Hell, Simon & Schuster, 300-320.
Perkins, H.D (5th Ed). (2007).Economics and Development, W.W.Norton & co, 598-761.
Svensson, J. (1998). “Foreign Aid and Rent-Seeking.” World Bank Policy Research Paper 1880.
World Bank (1998). “Assessing Aid: What Works, What Doesn’t and Why.” Oxford University Press, New York.
Below is a table showing the impact of foreign aid to the Economy of Kenya, Uganda and Nepal.
The graphical representation on the Impact of Foreign Aid in the economy of Kenya, Uganda and Nepal.

On secondary data from library and primary data from government institutions in my local country.